Given:
A relaxed structure of KO, computed with PBE.

## Properties
- symmetry = P-62m, No. 189
- calculated formation energy (meV/atom) = -1272
- density (g/cm³) = 2.425

Cell: 7.144 7.144 5.123 Å, 90.00 90.00 120.00°
Positions (direct):
K  0.000  0.706  0.500
K  0.294  0.294  0.500
K  0.706  0.000  0.500
K  0.000  0.368  0.000
K  0.632  0.632  0.000
K  0.368  0.000  0.000
O  0.667  0.333  0.349
O  0.667  0.333  0.651
O  0.333  0.667  0.651
O  0.333  0.667  0.349
O  0.000  0.000  0.851
O  0.000  0.000  0.149

* * * * *

A plane-wave DFT calculation with r²SCAN was carried out for a relaxed SmY3O6 crystal.

abc: 9.249 9.262 9.262
angles: 109.48 109.45 109.45
Space group P1 (No. 1)
Symmetry-distinct sites (fractional):
Sm (0.000, 0.000, 0.000)
Sm (0.000, 0.497, 0.498)
Sm (0.252, 0.717, 0.969)
Sm (0.500, 0.998, 0.502)
Y (0.029, 0.748, 0.282)
Y (0.219, 0.969, 0.750)
Y (0.251, 0.217, 0.470)
Y (0.282, 0.529, 0.250)
Y (0.470, 0.251, 0.219)
Y (0.501, 0.497, 0.000)
Y (0.533, 0.746, 0.781)
Y (0.717, 0.466, 0.751)
Y (0.749, 0.280, 0.031)
Y (0.750, 0.779, 0.530)
Y (0.782, 0.028, 0.250)
Y (0.969, 0.247, 0.718)
O (0.010, 0.039, 0.766)
O (0.029, 0.485, 0.254)
O (0.042, 0.266, 0.511)
O (0.230, 0.451, 0.969)
O (0.233, 0.274, 0.246)
O (0.246, 0.974, 0.013)
O (0.256, 0.766, 0.230)
O (0.268, 0.011, 0.542)
O (0.276, 0.744, 0.729)
O (0.457, 0.466, 0.730)
O (0.469, 0.229, 0.957)
O (0.489, 0.753, 0.530)
O (0.512, 0.242, 0.470)
O (0.536, 0.766, 0.042)
O (0.544, 0.530, 0.270)
O (0.725, 0.253, 0.267)
O (0.731, 0.986, 0.457)
O (0.745, 0.230, 0.775)
O (0.754, 0.028, 0.987)
O (0.769, 0.723, 0.756)
O (0.770, 0.541, 0.031)
O (0.958, 0.730, 0.488)
O (0.967, 0.506, 0.740)
O (0.989, 0.956, 0.232)

total magnetization: 0.000 μB/atom
DFT formation energy: -3858 meV per atom
volume: 611.06 Å³ per cell

* * * * *

Entry 1:
First-principles (r²SCAN) data for a relaxed Na3Cu2O4 crystal, as listed in the Materials Project database.

Values from the calculation:
* calculated density: 3.68 g/cm3
* total magnetic moment: 4.0 μB per cell
* calculated formation energy: -1.246 eV/atom
* SG: P2_1/c (14)

a = 5.651 Å, b = 11.019 Å, c = 8.146 Å
α = 90.00°, β = 112.17°, γ = 90.00°
Fractional positions:
Na  0.103  0.079  0.379
Na  0.103  0.421  0.879
Na  0.103  0.702  0.877
Na  0.103  0.798  0.377
Na  0.139  0.102  0.951
Na  0.139  0.398  0.451
Na  0.861  0.602  0.549
Na  0.861  0.898  0.049
Na  0.897  0.202  0.623
Na  0.897  0.298  0.123
Na  0.897  0.579  0.121
Na  0.897  0.921  0.621
Cu  0.469  0.575  0.228
Cu  0.469  0.925  0.728
Cu  0.497  0.673  0.738
Cu  0.497  0.827  0.238
Cu  0.503  0.173  0.762
Cu  0.503  0.327  0.262
Cu  0.531  0.075  0.272
Cu  0.531  0.425  0.772
O  0.239  0.058  0.695
O  0.239  0.442  0.195
O  0.239  0.710  0.175
O  0.239  0.790  0.675
O  0.273  0.546  0.710
O  0.273  0.954  0.210
O  0.281  0.200  0.227
O  0.281  0.300  0.727
O  0.719  0.700  0.273
O  0.719  0.800  0.773
O  0.727  0.046  0.790
O  0.727  0.454  0.290
O  0.761  0.210  0.325
O  0.761  0.290  0.825
O  0.761  0.558  0.805
O  0.761  0.942  0.305

=====

Entry 2:
First-principles (r²SCAN) data for a relaxed DyWC2 crystal, as listed in the Materials Project database.

Values from the calculation:
* calculated density: 11.84 g/cm3
* total magnetic moment: 0.0 μB per cell
* calculated formation energy: -0.400 eV/atom
* SG: Pnma (62)

a = 5.715 Å, b = 3.377 Å, c = 10.769 Å
α = 90.00°, β = 90.00°, γ = 90.00°
Fractional positions:
Dy  0.086  0.250  0.138
Dy  0.414  0.750  0.638
Dy  0.586  0.250  0.362
Dy  0.914  0.750  0.862
W  0.097  0.750  0.389
W  0.403  0.250  0.889
W  0.597  0.750  0.111
W  0.903  0.250  0.611
C  0.160  0.250  0.753
C  0.222  0.250  0.483
C  0.278  0.750  0.983
C  0.340  0.750  0.253
C  0.660  0.250  0.747
C  0.722  0.250  0.017
C  0.778  0.750  0.517
C  0.840  0.750  0.247

=====

Entry 3:
First-principles (r²SCAN) data for a relaxed VCl2 crystal, as listed in the Materials Project database.

Values from the calculation:
* calculated density: 2.90 g/cm3
What to do:
What is needed: transcribe all of the data further above character by character.
Worked solution:
A relaxed structure of KO, computed with PBE.

## Properties
- symmetry = P-62m, No. 189
- calculated formation energy (meV/atom) = -1272
- density (g/cm³) = 2.425

Cell: 7.144 7.144 5.123 Å, 90.00 90.00 120.00°
Positions (direct):
K  0.000  0.706  0.500
K  0.294  0.294  0.500
K  0.706  0.000  0.500
K  0.000  0.368  0.000
K  0.632  0.632  0.000
K  0.368  0.000  0.000
O  0.667  0.333  0.349
O  0.667  0.333  0.651
O  0.333  0.667  0.651
O  0.333  0.667  0.349
O  0.000  0.000  0.851
O  0.000  0.000  0.149

* * * * *

A plane-wave DFT calculation with r²SCAN was carried out for a relaxed SmY3O6 crystal.

abc: 9.249 9.262 9.262
angles: 109.48 109.45 109.45
Space group P1 (No. 1)
Symmetry-distinct sites (fractional):
Sm (0.000, 0.000, 0.000)
Sm (0.000, 0.497, 0.498)
Sm (0.252, 0.717, 0.969)
Sm (0.500, 0.998, 0.502)
Y (0.029, 0.748, 0.282)
Y (0.219, 0.969, 0.750)
Y (0.251, 0.217, 0.470)
Y (0.282, 0.529, 0.250)
Y (0.470, 0.251, 0.219)
Y (0.501, 0.497, 0.000)
Y (0.533, 0.746, 0.781)
Y (0.717, 0.466, 0.751)
Y (0.749, 0.280, 0.031)
Y (0.750, 0.779, 0.530)
Y (0.782, 0.028, 0.250)
Y (0.969, 0.247, 0.718)
O (0.010, 0.039, 0.766)
O (0.029, 0.485, 0.254)
O (0.042, 0.266, 0.511)
O (0.230, 0.451, 0.969)
O (0.233, 0.274, 0.246)
O (0.246, 0.974, 0.013)
O (0.256, 0.766, 0.230)
O (0.268, 0.011, 0.542)
O (0.276, 0.744, 0.729)
O (0.457, 0.466, 0.730)
O (0.469, 0.229, 0.957)
O (0.489, 0.753, 0.530)
O (0.512, 0.242, 0.470)
O (0.536, 0.766, 0.042)
O (0.544, 0.530, 0.270)
O (0.725, 0.253, 0.267)
O (0.731, 0.986, 0.457)
O (0.745, 0.230, 0.775)
O (0.754, 0.028, 0.987)
O (0.769, 0.723, 0.756)
O (0.770, 0.541, 0.031)
O (0.958, 0.730, 0.488)
O (0.967, 0.506, 0.740)
O (0.989, 0.956, 0.232)

total magnetization: 0.000 μB/atom
DFT formation energy: -3858 meV per atom
volume: 611.06 Å³ per cell

* * * * *

Entry 1:
First-principles (r²SCAN) data for a relaxed Na3Cu2O4 crystal, as listed in the Materials Project database.

Values from the calculation:
* calculated density: 3.68 g/cm3
* total magnetic moment: 4.0 μB per cell
* calculated formation energy: -1.246 eV/atom
* SG: P2_1/c (14)

a = 5.651 Å, b = 11.019 Å, c = 8.146 Å
α = 90.00°, β = 112.17°, γ = 90.00°
Fractional positions:
Na  0.103  0.079  0.379
Na  0.103  0.421  0.879
Na  0.103  0.702  0.877
Na  0.103  0.798  0.377
Na  0.139  0.102  0.951
Na  0.139  0.398  0.451
Na  0.861  0.602  0.549
Na  0.861  0.898  0.049
Na  0.897  0.202  0.623
Na  0.897  0.298  0.123
Na  0.897  0.579  0.121
Na  0.897  0.921  0.621
Cu  0.469  0.575  0.228
Cu  0.469  0.925  0.728
Cu  0.497  0.673  0.738
Cu  0.497  0.827  0.238
Cu  0.503  0.173  0.762
Cu  0.503  0.327  0.262
Cu  0.531  0.075  0.272
Cu  0.531  0.425  0.772
O  0.239  0.058  0.695
O  0.239  0.442  0.195
O  0.239  0.710  0.175
O  0.239  0.790  0.675
O  0.273  0.546  0.710
O  0.273  0.954  0.210
O  0.281  0.200  0.227
O  0.281  0.300  0.727
O  0.719  0.700  0.273
O  0.719  0.800  0.773
O  0.727  0.046  0.790
O  0.727  0.454  0.290
O  0.761  0.210  0.325
O  0.761  0.290  0.825
O  0.761  0.558  0.805
O  0.761  0.942  0.305

=====

Entry 2:
First-principles (r²SCAN) data for a relaxed DyWC2 crystal, as listed in the Materials Project database.

Values from the calculation:
* calculated density: 11.84 g/cm3
* total magnetic moment: 0.0 μB per cell
* calculated formation energy: -0.400 eV/atom
* SG: Pnma (62)

a = 5.715 Å, b = 3.377 Å, c = 10.769 Å
α = 90.00°, β = 90.00°, γ = 90.00°
Fractional positions:
Dy  0.086  0.250  0.138
Dy  0.414  0.750  0.638
Dy  0.586  0.250  0.362
Dy  0.914  0.750  0.862
W  0.097  0.750  0.389
W  0.403  0.250  0.889
W  0.597  0.750  0.111
W  0.903  0.250  0.611
C  0.160  0.250  0.753
C  0.222  0.250  0.483
C  0.278  0.750  0.983
C  0.340  0.750  0.253
C  0.660  0.250  0.747
C  0.722  0.250  0.017
C  0.778  0.750  0.517
C  0.840  0.750  0.247

=====

Entry 3:
First-principles (r²SCAN) data for a relaxed VCl2 crystal, as listed in the Materials Project database.

Values from the calculation:
* calculated density: 2.90 g/cm3